Job =
Now filter the data below: keep the lines with the word "DFT".
Contents =
Computed, not measured: a relaxed Li4Mn2Fe3Sn3O16 crystal at the PBE+U level of DFT.

Computed properties:
Calculated formation energy ... -1.9207 eV per atom
MP2020-corrected energy ... -7.0123 eV/atom
SG ... Cm (8)

a = 6.101 Å, b = 6.101 Å, c = 9.681 Å
α = 88.98°, β = 88.98°, γ = 60.65°
Fractional positions:
Sn: 0.171 0.171 0.288
Sn: 0.342 0.843 0.790
Sn: 0.843 0.342 0.790
O: 0.973 0.529 0.661
O: 0.675 0.675 0.903
O: 0.998 0.998 0.191
O: 0.673 0.166 0.905
O: 0.828 0.828 0.395
O: 0.484 0.050 0.150
O: 0.529 0.529 0.654
O: 0.166 0.673 0.905
O: 0.529 0.973 0.661
O: 0.318 0.839 0.399
O: 0.167 0.167 0.912
O: 0.050 0.484 0.150
O: 0.482 0.482 0.150
O: 0.339 0.339 0.395
O: 0.004 0.004 0.689
O: 0.839 0.318 0.399
Li: 0.986 0.986 0.502
Li: 0.675 0.675 0.107
Li: 0.340 0.340 0.601
Li: 0.985 0.985 0.010
Fe: 0.668 0.169 0.287
Fe: 0.169 0.668 0.287
Fe: 0.834 0.834 0.781
Mn: 0.672 0.672 0.508
Mn: 0.344 0.344 0.020

----------

# 1
Compound: Ba3In2P6H6O18
Source: the Materials Project database
Functional: GGA-PBE
Structure: relaxed

```
Ba3In2P6H6O18
1.0
-9.3727 -2.9950 -3.3988
0.8117 -4.9932 9.0983
-1.7000 9.8352 2.9579
In O H P Ba
4 36 12 12 6
direct
0.5000 0.5000 0.0000
0.0000 0.0000 0.0000
0.0000 0.5000 0.5000
0.5000 0.0000 0.5000
0.2430 0.2154 0.7076
0.8889 0.3344 0.5670
0.1798 0.4984 0.6504
0.6504 0.1798 0.4984
0.0345 0.6037 0.8944
0.9688 0.6525 0.6521
0.0312 0.3475 0.3479
0.3963 0.1056 0.9655
0.3344 0.5670 0.8889
0.3496 0.8202 0.5016
0.7076 0.2430 0.2154
0.0451 0.8419 0.8625
0.9655 0.3963 0.1056
0.2154 0.7076 0.2430
0.6521 0.9688 0.6525
0.3475 0.3479 0.0312
0.3479 0.0312 0.3475
0.6525 0.6521 0.9688
0.1056 0.9655 0.3963
0.1581 0.1375 0.9549
0.1375 0.9549 0.1581
0.5670 0.8889 0.3344
0.4330 0.1111 0.6656
0.8202 0.5016 0.3496
0.6037 0.8944 0.0345
0.6656 0.4330 0.1111
0.8625 0.0451 0.8419
0.7846 0.2924 0.7570
0.4984 0.6504 0.1798
0.9549 0.1581 0.1375
0.8944 0.0345 0.6037
0.8419 0.8625 0.0451
0.7570 0.7846 0.2924
0.2924 0.7570 0.7846
0.1111 0.6656 0.4330
0.5016 0.3496 0.8202
0.1943 0.1660 0.3369
0.8340 0.6631 0.8057
0.1660 0.3369 0.1943
0.3930 0.3025 0.5838
0.6975 0.4162 0.6070
0.8057 0.8340 0.6631
0.5838 0.3930 0.3025
0.6070 0.6975 0.4162
0.6631 0.8057 0.8340
0.3369 0.1943 0.1660
0.3025 0.5838 0.3930
0.4162 0.6070 0.6975
0.0273 0.3148 0.1951
0.2467 0.6958 0.3889
0.6852 0.8049 0.9727
0.7533 0.3042 0.6111
0.3889 0.2467 0.6958
0.8049 0.9727 0.6852
0.3042 0.6111 0.7533
0.1951 0.0273 0.3148
0.6958 0.3889 0.2467
0.6111 0.7533 0.3042
0.3148 0.1951 0.0273
0.9727 0.6852 0.8049
0.6586 0.1703 0.9262
0.3414 0.8297 0.0738
0.9262 0.6586 0.1703
0.8297 0.0738 0.3414
0.1703 0.9262 0.6586
0.0738 0.3414 0.8297
```

Space-group type: R-3 (148)

***

# 2
Compound: Ba3H12Ir2
Source: the Materials Project database
Functional: GGA-PBE
Structure: relaxed

```
Ba3H12Ir2
1.0
-0.1364 1.9526 5.1769
-0.3494 -5.4476 -0.9131
8.9015 -0.6514 0.4803
H Ba Ir
12 3 2
direct
0.1874 0.3748 0.3486
0.8126 0.1874 0.6514
0.5274 0.4726 0.8723
0.0548 0.5274 0.1277
0.4726 0.5274 0.1277
0.3748 0.1874 0.6514
0.9452 0.4726 0.8723
0.1874 0.8126 0.3486
0.6252 0.8126 0.3486
0.8126 0.6252 0.6514
0.5274 0.0548 0.8723
0.4726 0.9452 0.1277
0.0000 0.0000 0.0000
0.6667 0.3333 0.3574
0.3333 0.6667 0.6426
0.3333 0.6667 0.2410
0.6667 0.3333 0.7590
```

Energy relative to the lowest polymorph listed for this composition (eV per atom): 0.000
Space-group type: P-3m1 (164)

***

# 3
Compound: Ba3H12Ir2
Source: the Materials Project database
Functional: GGA-PBE
Structure: relaxed

```
Ba3H12Ir2
1.0
-7.3983 -0.9748 -2.1680
6.0212 -3.7306 -3.8609
-0.8820 -4.3810 2.8576
H Ir Ba
12 2 3
direct
0.8285 0.4143 0.7667
0.6808 0.1527 0.7711
0.6808 0.5281 0.7711
0.1918 0.0959 0.3904
0.1715 0.5857 0.2333
0.3192 0.8473 0.2289
0.3192 0.4719 0.2289
0.3872 0.3261 0.8049
0.8082 0.9041 0.6096
0.3872 0.0611 0.8049
0.6128 0.9389 0.1951
0.6128 0.6739 0.1951
0.5811 0.2906 0.7870
0.4189 0.7094 0.2130
0.4257 0.7128 0.7110
0.0000 0.0000 0.0000
0.5743 0.2872 0.2890
```
Written answer =
Computed, not measured: a relaxed Li4Mn2Fe3Sn3O16 crystal at the PBE+U level of DFT.